# To do
Next, reproduce every line further below that contains the word "down".
# Given
┌──
Record 1
Entry from OMol25: 2 unconnected molecules or ions with the total composition C4H7Br2N (ωB97M-V with the def2-TZVPD basis set).

Highest occupied orbital energy (spin up / spin down) (eV): -7.70 / -8.12
Energy (eV): -145832.11356
M (g mol⁻¹): 228.92

The geometry in XYZ format:
```
14
C4H7Br2N, DFT ωB97M-V with the def2-TZVPD basis set
H 0.24263 -2.67368 -0.94092
N 1.37446 1.71629 2.00748
Br 1.93966 1.94719 -0.87072
H 2.05034 2.19504 2.68385
H -0.14477 -0.11957 -1.75313
H -1.05329 0.44843 0.99837
C 1.08704 1.71901 0.84073
C -1.34563 0.24858 -0.07563
H -0.57471 -2.07265 0.67133
C 0.05889 -1.80566 -0.19852
H 1.02114 -1.41295 0.01934
Br -2.39283 1.69652 -0.76366
H -1.55066 -1.14778 -1.63720
C -0.71227 -0.73876 -0.98131
```

Calculated atomic charges, method Mulliken, unit e: H 0.282; N -0.424; Br -0.116; H 0.281; H 0.248; H 0.476; C 0.258; C -0.695; H 0.332; C -1.027; H 0.272; Br -0.138; H 0.321; C -0.069

=====

Record 2
Entry from OMol25: a molecular structure, C4H7Br2NO2 (ωB97M-V with the def2-TZVPD basis set).

Highest occupied orbital energy (eV): -10.38
Energy (eV): -149928.06042
M (g mol⁻¹): 260.91

The geometry in XYZ format:
```
16
C4H7Br2NO2, DFT ωB97M-V with the def2-TZVPD basis set
C 1.07860 -0.78278 -0.79482
H -1.48057 -0.05888 -1.50608
H 2.18349 -0.37834 -0.81431
C -1.32709 -0.29159 -0.50380
C 0.08471 0.09033 -0.00053
Br -1.65245 -2.10134 -0.07354
H 1.17476 0.30262 1.96324
H -0.58226 0.56421 2.05167
O -0.20639 1.88368 -1.50077
H 1.03741 -0.70220 -1.90329
H 0.02367 -1.10067 1.94568
Br -2.73262 0.82642 0.33822
C 0.19572 -0.06047 1.46498
H 0.95922 -1.83541 -0.43746
N 0.30086 1.49587 -0.48886
O 0.94295 2.14855 0.25967
```

Calculated atomic charges, method Mulliken, unit e: C -1.367; H 0.629; H 0.344; C -0.529; C 0.724; Br -0.062; H 0.342; H 0.334; O -0.583; H 0.366; H 0.318; Br -0.074; C -1.249; H 0.367; N 1.052; O -0.611

=====

Record 3
Entry from OMol25: 2 unconnected molecules or ions with the total composition C4H7Br2O2 (ωB97M-V with the def2-TZVPD basis set).

Highest occupied orbital energy (eV): -4.20
Energy (eV): -148443.39971
Charge: -1
M (g mol⁻¹): 246.91

The geometry in XYZ format:
```
15
C4H7Br2O2, DFT ωB97M-V with the def2-TZVPD basis set
O 0.74301 -0.60828 0.52356
H -1.58595 2.48136 3.42136
Br -2.05719 5.14358 2.07166
H -0.57444 3.33952 1.22580
H -2.18989 3.24286 0.46617
H 4.00201 -0.58665 0.66310
H 3.22989 -0.73364 -0.94673
H 2.90824 -1.96247 0.31653
C -1.66188 3.36819 1.43102
C 1.86593 -0.03784 0.59578
H -1.67715 1.31053 2.07344
C -2.03218 2.29838 2.42494
C 3.08171 -0.88838 0.13526
Br -3.93845 2.14497 2.67261
O 2.13219 1.13917 0.96360
```

Calculated atomic charges, method Mulliken, unit e: O -0.728; H 0.351; Br -0.167; H 0.301; H 0.355; H 0.254; H 0.175; H 0.253; C -0.490; C 0.612; H 0.280; C -0.476; C -0.828; Br -0.165; O -0.728

=====

Record 4
Entry from OMol25: a molecular structure, C4H7Br2OP (ωB97M-V with the def2-TZVPD basis set).

Expectation value of S²: 2.0098
Highest occupied orbital energy (spin up / spin down) (eV): -7.27 / -10.36
Energy (eV): -155678.83967
2S+1: 3
M (g mol⁻¹): 261.88

The geometry in XYZ format:
```
15
C4H7Br2OP, DFT ωB97M-V with the def2-TZVPD basis set
Br -1.78644 2.12482 0.05970
C 1.70701 -0.43500 -0.32686
H 1.19109 -1.23682 -0.87498
H 3.09064 -1.69211 0.43381
O -2.17504 -1.36963 0.27583
H 0.88319 1.04886 -1.63730
P -1.29938 -0.63954 -0.65092
C 1.01281 0.89424 -0.50435
Br -5.46607 -0.49839 -0.04453
H 3.25944 0.18231 0.91970
H 1.61717 1.77998 0.04202
C -0.39909 0.76352 0.26835
C 2.66496 -0.68799 0.46041
H -0.18656 0.50904 1.34859
H -4.11375 -0.74329 0.23055
```

Calculated atomic charges, method Mulliken, unit e: Br -0.097; C -0.042; H 0.275; H 0.286; O -0.419; H 0.252; P 0.204; C -0.403; Br -0.257; H 0.223; H 0.308; C -0.263; C -0.762; H 0.455; H 0.238

=====

Record 5
Entry from OMol25: a molecular structure, C4H7Br3 (ωB97M-V with the def2-TZVPD basis set).

Expectation value of S²: 2.0083
└──
# Done
Highest occupied orbital energy (spin up / spin down) (eV): -7.70 / -8.12
Highest occupied orbital energy (spin up / spin down) (eV): -7.27 / -10.36